The Heber City Council passed an annexation policy plan at Tuesdays meeting that could potentially double the size of the city.
The plan would allow developments in certain parts of the county to be annexed into the city, the largest portion of the expansion area map is east of U.S. Highway 40 and north of current city limits. The boundary extends all the way to the south side of Jordanelle and includes land on both sides of State Road 32. A map of the boundary can be found on KPCW’s website.
The Annexation Policy Plan does not mean that the area is now a part of Heber, only that land owners in that boundary can petition to annex into the city.
The council heard from Tracy Taylor who opposes the policy plan.
“There are a lot of citizens in Heber City on fixed incomes. I’ve heard from a lot of people that are very concerned about their taxes going up. I think this city council has a fiduciary duty to the citizens of this city to tell them how much their taxes are going to go up if you vote to annex. So not only should you continue this until the next meeting, you should be able to put in the newspaper what your projections are for taxes being raised. If you say that there shouldn’t be any taxes raised, then you should put that in the local newspaper and on Facebook and you should have some public outreach when you said you wanted when you ran for office.” Taylor stated, “So, this is where I’m saying, look this is the major issue of this doubling the size of Heber. What are the impacts to the existing citizens of this city? I have yet to hear that. I have yet to see a report come out of how much we’re going to need increase the planning department, the building department, the public works department. How many more salaries and benefits are we going to have to pay for to deal with the flood of development applications that are going to come through this city if you approve this annexation policy plan?”
Heber City Mayor Kelleen Potter responded to Taylors remarks.
**Data records, kept here for reference:**
=====
Computed, not measured: crystalline RbCaI3 at its relaxed geometry at the GGA-PBE level of DFT. Values from VASP.

Geometry as Quantum ESPRESSO input:
```
&SYSTEM
  ibrav = 0, nat = 20, ntyp = 3
/
ATOMIC_SPECIES
Rb 85.47 Rb.upf
Ca 40.08 Ca.upf
I 126.90 I.upf
ATOMIC_POSITIONS crystal
Rb 0.079 0.250 0.173
Rb 0.421 0.750 0.673
Rb 0.579 0.250 0.327
Rb 0.921 0.750 0.827
Ca 0.163 0.750 0.442
Ca 0.337 0.250 0.942
Ca 0.663 0.750 0.058
Ca 0.837 0.250 0.558
I 0.027 0.750 0.604
I 0.167 0.750 0.004
I 0.206 0.250 0.787
I 0.294 0.750 0.287
I 0.333 0.250 0.504
I 0.473 0.250 0.104
I 0.527 0.750 0.896
I 0.667 0.750 0.496
I 0.706 0.250 0.713
I 0.794 0.750 0.213
I 0.833 0.250 0.996
I 0.973 0.250 0.396
CELL_PARAMETERS angstrom
10.509 0.000 0.000
0.000 4.733 0.000
0.000 0.000 17.671
```

***

Computed, not measured: crystalline Nd5Pb3 at its relaxed geometry at the GGA-PBE level of DFT. Values from VASP.

Geometry as Quantum ESPRESSO input:
```
&SYSTEM
  ibrav = 0, nat = 16, ntyp = 2
/
ATOMIC_SPECIES
Nd 144.24 Nd.upf
Pb 207.20 Pb.upf
ATOMIC_POSITIONS crystal
Nd 0.000 0.241 0.250
Nd 0.000 0.759 0.750
Nd 0.241 0.000 0.250
Nd 0.241 0.241 0.750
Nd 0.333 0.667 0.000
Nd 0.333 0.667 0.500
Nd 0.667 0.333 0.000
Nd 0.667 0.333 0.500
Nd 0.759 0.000 0.750
Nd 0.759 0.759 0.250
Pb 0.000 0.393 0.750
Pb 0.000 0.607 0.250
Pb 0.393 0.000 0.750
Pb 0.393 0.393 0.250
Pb 0.607 0.000 0.250
Pb 0.607 0.607 0.750
CELL_PARAMETERS angstrom
9.425 0.000 0.000
-4.713 8.162 0.000
0.000 0.000 6.913
```

***

Computed, not measured: crystalline SmCo4B at its relaxed geometry at the GGA-PBE level of DFT. Values from VASP.

Geometry as Quantum ESPRESSO input:
```
&SYSTEM
  ibrav = 0, nat = 12, ntyp = 3
/
ATOMIC_SPECIES
Sm 150.36 Sm.upf
Co 58.93 Co.upf
B 10.81 B.upf
ATOMIC_POSITIONS crystal
Sm 0.000 0.000 0.000
Sm 0.000 0.000 0.500
Co 0.000 0.500 0.211
Co 0.000 0.500 0.789
Co 0.333 0.667 0.500
Co 0.500 0.000 0.211
Co 0.500 0.000 0.789
Co 0.500 0.500 0.211
Co 0.500 0.500 0.789
Co 0.667 0.333 0.500
B 0.333 0.667 0.000
B 0.667 0.333 0.000
CELL_PARAMETERS angstrom
5.054 0.000 0.000
-2.527 4.377 0.000
0.000 0.000 6.822
```

***

Looking at electronic total energy for the records above, in order, we have -3.10 -4.91 -6.89 eV per atom.

~~~~~

A relaxed structure of Ta9V2O25. Source: the Materials Project database, functional GGA+U.

**Crystal system**: tetragonal
**Mass density**: 6999 kg/m3
**Space-group type**: I4/m, No. 87
**ΔH_f (0 K)**: -3.021 eV per atom
**Spin magnetization**: 2.998 μB per cell

abc: 11.4364 11.4364 11.4364
angles: 91.74 91.74 159.93
With the nearest neighbours (Å) after each atom.
Positions (direct):
Ta (0.0000, 0.0000, 0.0000)  6 O 1.99-2.02
Ta (0.2225, 0.9011, 0.1236)  5 O 1.86-2.05
Ta (0.7775, 0.0989, 0.8764)  5 O 1.86-2.05
Ta (0.9011, 0.7775, 0.6786)  5 O 1.86-2.05
Ta (0.0989, 0.2225, 0.3214)  5 O 1.86-2.05
Ta (0.1253, 0.6801, 0.8053)  5 O 1.87-2.05
Ta (0.8747, 0.3199, 0.1947)  5 O 1.87-2.05
Ta (0.6801, 0.8747, 0.5548)  5 O 1.87-2.05
Ta (0.3199, 0.1253, 0.4452)  5 O 1.87-2.05
=====
“I just want to say that I have written articles for the Wave, I’ve put things on Facebook I’ve spoken on KPCW and KTMP. I would also like to say that this annexation policy area is a whole bunch of small annexations and before any annexation could be approved they would have to come in and have a thorough analysis of those things. One thing we’ve never heard is if these areas are developed in the county how that would affect us as tax payers because of all those municipal services will be paid for by all county tax payers. If these people are annexed into a city, they also pay city taxes.” Potter continued, “So, they pay more taxes, more total taxes for the services they receive then if they were county residents. We’ve never talked about how the impact would be on us if they were developed in the county I think we have done a lot of analysis. Council member Franco has done analysis we had some information come from our staff members on projected staff increases. We could be talking 20 years we could be talking 50 years and all these numbers, unless we have a specific area that applies for annexation, there all just hypothetical. Nobody really knows exactly until you look at the area being annexed and what that development might look like.”
According to a staff report the anticipated tax consequences should an area be annexed would be $220 in additional annual taxation for a primary dwelling valued at $300,000; and a $667 annual tax increase for a business or secondary dwelling valued at $500,000. The report also says that additional service demands will be weighed against potential revenues and other benefits when determining whether or not to grant a petition for annexation.
Wasatch County Council Member Kendall Crittenden addressed the city council during public comment.
“Are we forgetting the public outcry that encouraged councilman Hardman to reconsider his vote the last time this was passed and then defeated in the reconsideration vote.” Kendall Crittenden said, “With that, I think maybe the public isn’t aware that it’s moving forward again. There was a lot of action prior to that one.”
Council member Heidi Franco then responded
“I thought that a lot of that outcry came from the county because of the lack of the MOU and because of the lack of the ordinances that were not ready or passed yet and those things have been taken care of.”
“And that isn’t public outcry from the county?” Kendall Crittenden asked.
Crystal structures, kept here for reference:
____________
The following is a PBE+U calculation of a relaxed CaFe2P2O9 crystal, from Materials Project.

Values from the calculation:
ΔH_f (0 K) = -2.581 eV/atom
Symmetry = No. 62

a = 14.3974 Å, b = 6.4772 Å, c = 7.4959 Å
α = 90.00°, β = 90.00°, γ = 90.00°
With the nearest neighbours (Å) after each atom.
Fractional positions:
Ca  0.2215  0.2500  0.1071  5 O 2.35-2.45
Ca  0.2785  0.7500  0.6071  5 O 2.35-2.45
Ca  0.7215  0.2500  0.3929  5 O 2.35-2.45
Ca  0.7785  0.7500  0.8929  5 O 2.35-2.45
Fe  0.0000  0.0000  0.0000  6 O 2.02-2.09
Fe  0.0000  0.5000  0.0000  6 O 2.02-2.09
Fe  0.1191  0.2500  0.6489  5 O 1.93-2.12
Fe  0.3809  0.7500  0.1489  5 O 1.93-2.12
Fe  0.5000  0.0000  0.5000  6 O 2.02-2.09
Fe  0.5000  0.5000  0.5000  6 O 2.02-2.09
Fe  0.6191  0.2500  0.8511  5 O 1.93-2.12
Fe  0.8809  0.7500  0.3511  5 O 1.93-2.12
P  0.0664  0.7500  0.6379  4 O 1.51-1.57
P  0.1916  0.7500  0.1107  4 O 1.55-1.56
P  0.3084  0.2500  0.6107  4 O 1.55-1.56
P  0.4336  0.2500  0.1379  4 O 1.51-1.57
P  0.5664  0.7500  0.8621  4 O 1.51-1.57
P  0.6916  0.7500  0.3893  4 O 1.55-1.56
P  0.8084  0.2500  0.8893  4 O 1.55-1.56
P  0.9336  0.2500  0.3621  4 O 1.51-1.57
O  0.0086  0.2500  0.5027  1 P 1.51
O  0.0189  0.7500  0.8266  1 P 1.57
O  0.0545  0.2500  0.8763  3 Fe 1.94-2.02
O  0.1311  0.5528  0.1042  1 P 1.55
O  0.1311  0.9472  0.1042  1 P 1.55
O  0.1332  0.5621  0.6282  1 P 1.55
O  0.1332  0.9379  0.6282  1 P 1.55
O  0.2340  0.2500  0.4587  1 P 1.56
O  0.2488  0.2500  0.7842  1 P 1.56
O  0.2512  0.7500  0.2842  1 P 1.56
O  0.2660  0.7500  0.9587  1 P 1.56
O  0.3668  0.0621  0.1282  1 P 1.55
O  0.3668  0.4379  0.1282  1 P 1.55
O  0.3689  0.0528  0.6042  1 P 1.55
O  0.3689  0.4472  0.6042  1 P 1.55
O  0.4455  0.7500  0.3763  3 Fe 1.94-2.02
O  0.4811  0.2500  0.3266  1 P 1.57
O  0.4914  0.7500  0.0027  1 P 1.51
O  0.5086  0.2500  0.9973  1 P 1.51
O  0.5189  0.7500  0.6734  1 P 1.57
O  0.5545  0.2500  0.6237  3 Fe 1.94-2.02
O  0.6311  0.5528  0.3958  1 P 1.55
O  0.6311  0.9472  0.3958  1 P 1.55
O  0.6332  0.5621  0.8718  1 P 1.55
O  0.6332  0.9379  0.8718  1 P 1.55
O  0.7340  0.2500  0.0413  1 P 1.56
O  0.7488  0.2500  0.7158  1 P 1.56
O  0.7512  0.7500  0.2158  1 P 1.56
O  0.7660  0.7500  0.5413  1 P 1.56
O  0.8668  0.0621  0.3718  1 P 1.55
O  0.8668  0.4379  0.3718  1 P 1.55
O  0.8689  0.0528  0.8958  1 P 1.55
O  0.8689  0.4472  0.8958  1 P 1.55
O  0.9455  0.7500  0.1237  3 Fe 1.94-2.02
O  0.9811  0.2500  0.1734  1 P 1.57
O  0.9914  0.7500  0.4973  1 P 1.51

The following is a PBE+U calculation of a relaxed Li3Si2Ni2O8 crystal, from Materials Project.

Values from the calculation:
ΔH_f (0 K) = -2.301 eV/atom
Symmetry = No. 1
Energy relative to the lowest polymorph listed for this composition = 0.000 eV/atom
Size of the total moment = 5.000 μB/f.u.

a = 4.9654 Å, b = 5.3437 Å, c = 6.4151 Å
α = 89.99°, β = 89.88°, γ = 89.50°
With the nearest neighbours (Å) after each atom.
Fractional positions:
Li  0.0000  0.0000  0.0000  4 O 1.89-2.07
Li  0.0056  0.5238  0.7375  4 O 1.96-2.12
____________
“That was what I thought was being addressed at that point” Franco responded.
Fellow city councilmember Ron Crittenden then stepped in.
“but Heidi your concern, and I’m respectful of it frankly, that if you got a bunch of fixes done that you’d be okay with it. Those fixes have been done to your satisfaction, but that doesn’t change whether or not the citizens of the present city want to see this big area annexed.” Ron Crittenden explained, “I told you a month ago that I would support annexing the North Village and a smaller area just not this humongous thing. Now you sit here and say you’re comfortable that we can take care of irrigation on 2,000 residences that well may not be served by the SSD(special service district)”
Next to the article, the page also holds records of crystals >
____________
# 1
# CuAu

Crystalline CuAu at its relaxed geometry (PBE, the Materials Project database).

Calculated values
The total energy comes out at -0.27382 Ry/atom. The calculation puts the energy of formation from the pure elements at -0.039 eV per atom.

Cell lengths 3.663, 4.046, 40.504 Å; angles 90.00, 90.00, 90.00 degrees
Space group Imma (No. 74)
Asymmetric unit:
Cu: 0.000 0.250 0.025 [4 per cell]
Cu: 0.000 0.250 0.125 [4 per cell]
Cu: 0.000 0.250 0.227 [4 per cell]
Cu: 0.000 0.250 0.825 [4 per cell]
Cu: 0.000 0.250 0.926 [4 per cell]
Au: 0.000 0.250 0.325 [4 per cell]
Au: 0.000 0.250 0.425 [4 per cell]
Au: 0.000 0.250 0.525 [4 per cell]
Au: 0.000 0.250 0.624 [4 per cell]
Au: 0.000 0.250 0.723 [4 per cell]

---

# 2
# CuAu3

Crystalline CuAu3 at its relaxed geometry (PBE, the Materials Project database).

Calculated values
The total energy comes out at -0.25709 Ry/atom. The calculation puts the energy of formation from the pure elements at -0.018 eV per atom.

Cell lengths 4.053, 4.053, 4.053 Å; angles 90.00, 90.00, 90.00 degrees
Space group Pm-3m (No. 221)
Asymmetric unit:
Cu: 0.000 0.000 0.000 [1 per cell]
Au: 0.000 0.500 0.500 [3 per cell]

---

# 3
# CuAu3

Crystalline CuAu3 at its relaxed geometry (PBE, the Materials Project database).

Calculated values
The total energy comes out at -0.25670 Ry/atom. The calculation puts the energy of formation from the pure elements at -0.012 eV per atom.

Cell lengths 4.023, 4.023, 8.257 Å; angles 90.00, 90.00, 90.00 degrees
Space group I4/mmm (No. 139)
Asymmetric unit:
Cu: 0.000 0.000 0.000 [2 per cell]
Au: 0.000 0.000 0.500 [2 per cell]
Au: 0.000 0.500 0.250 [4 per cell]

---

# 4
# Cu4Au

Crystalline Cu4Au at its relaxed geometry (PBE, the Materials Project database).

Calculated values
The total energy comes out at -0.28439 Ry/atom. The calculation puts the energy of formation from the pure elements at 0.065 eV per atom.

Cell lengths 2.7089, 2.7089, 31.5116 Å; angles 90.00, 90.00, 120.00 degrees
Space group R-3m (No. 166, hexagonal axes)
Asymmetric unit:
Cu: 0.0000 0.0000 0.0942 [6 per cell]
Cu: 0.0000 0.0000 0.3020 [6 per cell]
Au: 0.0000 0.0000 0.5000 [3 per cell]

---

# 5
# CuAu

Crystalline CuAu at its relaxed geometry (PBE, the Materials Project database).

Calculated values
The total energy comes out at -0.27449 Ry/atom. The calculation puts the energy of formation from the pure elements at -0.048 eV per atom.

Cell lengths 2.864, 2.864, 3.662 Å; angles 90.00, 90.00, 90.00 degrees
Space group P4/mmm (No. 123)
Asymmetric unit:
Cu: 0.000 0.000 0.000 [1 per cell]
Au: 0.500 0.500 0.500 [1 per cell]

---

# 6
# K2CuAuF6

Crystalline K2CuAuF6 at its relaxed geometry (PBE, the Materials Project database).

Calculated values
The total energy comes out at -0.29084 Ry/atom. The calculation puts the energy of formation from the pure elements at -2.126 eV per atom.

Cell lengths 8.543, 8.543, 8.543 Å; angles 90.00, 90.00, 90.00 degrees
Space group Fm-3m (No. 225)
Asymmetric unit:
____________
Franco jumped in “We don’t know if that’ll annex. They are already developing with the county.”
“Well but the county doesn’t require.” Ron Crittenden replied.
“Then the county is already going to do it, it doesn’t change anything.” Mayor Potter said, “Everyone on this body has to hear the public outcry that they hear and what the public (brings) to them. I don’t think that any member of this body wants to do anything to hurt the city. If they didn’t get that same feedback, then they didn’t get the same feedback. I’ve heard a lot of people say we think urban development should be in cities, so they pay municipal taxes for their services.”
The motion passed three to two. Council members Franco, Smith and Bradshaw voting for the annexation policy and council members Ron Crittenden and Hardman voting against.